[Work order]
Could you count the lines underneath that contain the word "def2-TZVPD" and give the number alone?

[Source]
[1]
54
Properties=species:S:1:pos:R:3:forces:R:3:lowdin_charge:R:1 method="wB97M-V/def2-TZVPD" lumo_energy_ev=0.05 e_tot_ha=-1715.3782 gap_ev=8.86 multiplicity=1 total_charge=0 homo_ev=-8.807
N 1.526 3.143 -3.591 -0.35 0.16 0.05 -0.002
C 0.524 2.070 -3.586 0.06 0.30 -0.03 -0.250
C -0.409 2.171 -2.359 0.72 -0.60 0.14 -0.351
N 0.290 1.798 -1.120 -0.12 0.08 0.07 0.042
C -1.671 1.295 -2.509 0.27 0.36 0.40 -0.087
N -1.453 0.034 -3.235 -0.36 -0.63 -1.46 0.008
C -1.876 -0.054 -4.575 0.66 -1.82 -0.79 0.055
C -1.612 -1.178 -5.324 -0.45 2.20 1.58 -0.156
F -2.022 -1.234 -6.614 0.52 -0.39 1.10 0.082
C -0.885 -2.279 -4.682 0.40 -2.50 -2.11 -0.402
O -0.605 -3.320 -5.250 -0.25 0.27 -0.43 0.090
N -0.490 -2.161 -3.381 -1.31 2.00 -0.96 0.226
C -0.761 -1.036 -2.665 0.46 0.40 1.67 -0.453
O -0.357 -1.022 -1.517 -0.19 0.71 0.70 0.057
H 2.108 3.099 -4.429 -0.11 -0.04 0.55 0.072
H 2.103 3.110 -2.751 0.01 -0.08 -0.50 0.059
H -0.070 2.152 -4.502 0.08 0.05 -0.06 0.109
H 1.031 1.099 -3.595 -0.33 -0.30 0.07 0.113
H -0.734 3.214 -2.266 0.03 -0.13 -0.02 0.140
H 0.468 0.786 -1.091 -0.01 0.71 -0.20 0.017
H 1.164 2.315 -1.020 -0.29 -0.28 0.10 0.032
H -2.428 1.886 -3.034 0.09 -0.44 -0.20 0.127
H -2.083 1.083 -1.516 0.21 -0.08 -0.15 0.124
H -2.412 0.764 -5.052 0.14 0.03 0.50 0.145
H 0.023 -2.913 -2.946 -0.05 0.06 0.00 0.184
C 0.191 -2.314 5.491 -0.26 0.20 -0.30 -0.069
N -0.021 -0.870 5.602 0.15 -1.33 0.35 0.037
C -0.093 0.030 4.615 0.02 1.20 -0.07 -0.460
O -0.231 1.212 4.906 -0.21 0.09 -0.53 0.046
C 0.101 -0.396 3.144 -0.06 -0.24 -0.05 -0.213
C 1.256 0.395 2.513 0.04 -0.08 -0.15 -0.189
C 1.720 -0.247 1.201 -0.07 0.09 0.45 -0.495
S 3.023 0.655 0.315 -0.02 -0.03 0.02 0.795
C 4.404 0.466 1.474 -0.30 -0.05 0.14 -0.407
N -1.109 -0.224 2.331 1.20 0.77 0.19 0.125
C -2.178 -1.013 2.408 -1.05 -1.13 0.26 -0.540
C -3.305 -0.711 1.449 0.08 0.05 0.07 0.007
O -2.268 -1.953 3.187 0.38 0.07 0.19 0.048
H 0.194 -2.762 6.486 0.04 0.19 -0.10 0.085
H -0.613 -2.770 4.909 0.08 -0.01 0.02 0.071
H 1.149 -2.520 5.010 0.01 -0.12 0.09 0.080
H -0.162 -0.486 6.523 0.04 0.12 -0.13 0.142
H 0.374 -1.450 3.120 -0.15 -0.19 -0.04 0.131
H 0.945 1.425 2.327 0.03 0.04 0.16 0.122
H 2.094 0.408 3.211 -0.08 0.14 0.14 0.112
H 2.073 -1.258 1.406 0.03 -0.11 -0.12 0.084
H 0.860 -0.324 0.540 0.14 -0.10 -0.27 0.032
H 4.181 0.988 2.404 0.13 -0.02 -0.02 0.027
H 4.572 -0.592 1.676 0.06 0.02 0.00 0.037
H 5.304 0.895 1.034 -0.16 -0.02 -0.07 0.032
H -1.119 0.526 1.658 0.09 0.10 0.05 0.143
H -4.118 -1.415 1.628 0.14 0.10 0.00 0.085
H -3.656 0.306 1.614 -0.08 0.10 -0.16 0.085
H -2.938 -0.823 0.431 -0.07 0.10 -0.15 0.068



[2]
61
Properties=species:S:1:pos:R:3:forces:R:3:lowdin_charge:R:1 method="wB97M-V/def2-TZVPD" lumo_energy_ev=-1.84 relative_energy_kcal_mol=31.77 e_tot_ha=-1423.7031 gap_ev=10.42 multiplicity=1 total_charge=+1 homo_ev=-12.259
N -38.731 -6.070 52.704 2.37 3.76 -2.13 0.369
H -38.983 -7.000 52.624 -0.45 -2.19 0.84 0.095
H -37.995 -5.660 53.239 2.24 -1.48 1.41 0.091
H -39.340 -5.382 53.001 -3.71 0.83 0.44 0.099
H -38.416 -5.670 51.809 -0.27 -0.44 -0.41 0.135
C -36.605 -4.441 57.732 1.71 1.58 -1.29 0.005
C -36.425 -2.881 57.565 1.08 -2.11 3.55 -0.259
O -36.643 -2.698 56.255 0.20 -0.18 -2.20 0.143
C -36.757 -3.924 55.553 -0.42 1.77 -2.44 -0.468
O -37.000 -3.984 54.349 0.50 0.07 3.09 0.128
O -36.618 -4.901 56.382 0.75 -1.43 -0.12 0.106
F -35.136 -2.587 58.097 -0.88 0.14 -1.52 0.009
H -37.508 -4.682 58.026 -5.44 -0.14 1.43 0.073
H -36.172 -5.141 58.418 2.28 0.31 -0.03 0.152
H -37.084 -2.268 58.193 0.00 -0.22 -0.43 0.175
C -37.732 -9.457 53.517 3.30 0.46 -1.96 -0.074
O -37.027 -8.246 53.792 -0.03 1.42 0.70 -0.236
C -35.629 -8.008 53.415 -6.18 -3.34 -4.18 -0.083
C -35.707 -7.704 51.923 3.92 -2.90 0.66 -0.231
O -35.918 -6.394 51.832 -0.77 3.15 0.43 -0.133
C -35.526 -5.783 50.633 0.03 -0.66 1.82 -0.167
C -35.739 -4.360 50.722 -3.52 3.49 -0.02 -0.112
O -36.954 -3.793 51.448 1.13 -2.79 -0.61 -0.199
C -36.852 -2.417 51.719 0.24 -2.40 5.58 -0.112
H -38.685 -9.218 53.905 -1.55 -0.21 -0.53 0.061

[Reply]
2